(Work order)
Write out every line further below that contains the word "fractional", please.

(Source)
-- begin --
Density functional theory data (PBE with a Hubbard U) for a relaxed Fe6O7F5 crystal.

density: 4.38 g cm⁻³
space group: Amm2, No. 38
calculated total energy: -6.028 eV/atom

a = 4.7622 Å, b = 4.7622 Å, c = 9.1002 Å
α = 90.00°, β = 90.00°, γ = 95.70°
Atoms (fractional coordinates):
Fe: 0.4960 0.5040 0.1679
Fe: 0.9894 0.0106 0.6590
Fe: 0.0008 0.9992 0.0000
Fe: 0.9894 0.0106 0.3410
Fe: 0.4960 0.5040 0.8321
Fe: 0.5312 0.4688 0.5000
F: 0.8069 0.1931 0.1639
F: 0.1926 0.8074 0.5000
F: 0.8069 0.1931 0.8361
F: 0.1885 0.8115 0.8335
F: 0.1885 0.8115 0.1665
O: 0.3004 0.3072 0.0000
O: 0.6928 0.6996 0.0000
O: 0.8112 0.1888 0.5000
O: 0.3062 0.3015 0.3280
O: 0.6985 0.6938 0.6720
O: 0.6985 0.6938 0.3280
O: 0.3062 0.3015 0.6720
-- stop --

(Reply)
Atoms (fractional coordinates):